Word Search by Letters

~~~
Entry 1:
# PBE-GGA K2TaTl, relaxed
# **Formation energy**: 0.900 eV/atom
data_K2TaTl
_cell_length_a 3.510
_cell_length_b 5.157
_cell_length_c 12.868
_cell_angle_alpha 90.00
_cell_angle_beta 90.00
_cell_angle_gamma 90.00
_space_group_name_H-M_alt 'C m m m'
_space_group_IT_number 65
_space_group_name_Hall '-C 2 2'
loop_
_atom_site_label
_atom_site_type_symbol
_atom_site_fract_x
_atom_site_fract_y
_atom_site_fract_z
K1 K 0.000 0.000 0.246
Ta1 Ta 0.000 0.500 0.000
Tl1 Tl 0.000 0.500 0.500



Entry 2:
# PBE-GGA Y2TiAgH, relaxed
# **Final energy**: -5.537 eV/atom
data_Y2TiAgH
_cell_length_a 5.044
_cell_length_b 5.044
_cell_length_c 3.881
_cell_angle_alpha 90.00
_cell_angle_beta 90.00
_cell_angle_gamma 90.00
_space_group_name_H-M_alt 'P 4/m m m'
_space_group_IT_number 123
_space_group_name_Hall '-P 4 2'
loop_
_atom_site_label
_atom_site_type_symbol
_atom_site_fract_x
_atom_site_fract_y
_atom_site_fract_z
Y1 Y 0.000 0.500 0.000
Ti1 Ti 0.000 0.000 0.500
Ag1 Ag 0.500 0.500 0.500
H1 H 0.000 0.000 0.000



Entry 3:
# PBE-GGA PuAl7Cu5, relaxed
# **Formation energy**: -0.296 eV/atom
data_PuAl7Cu5
_cell_length_a 5.081
_cell_length_b 8.812
_cell_length_c 8.722
_cell_angle_alpha 90.00
_cell_angle_beta 90.00
_cell_angle_gamma 90.00
_space_group_name_H-M_alt 'I m m 2'
_space_group_IT_number 44
_space_group_name_Hall 'I 2 -2'
loop_
_atom_site_label
_atom_site_type_symbol
_atom_site_fract_x
_atom_site_fract_y
_atom_site_fract_z
Pu1 Pu 0.000 0.000 0.000
Al1 Al 0.000 0.000 0.345
Al2 Al 0.000 0.000 0.651
Al3 Al 0.000 0.292 0.508
Al4 Al 0.000 0.347 0.994
Al5 Al 0.000 0.500 0.276
Cu1 Cu 0.000 0.500 0.730
Cu2 Cu 0.249 0.252 0.252



Entry 4:
# PBE-GGA NaCoRu, relaxed
# **Formation energy**: 0.466 eV/atom
data_NaCoRu
_cell_length_a 8.514
_cell_length_b 2.689
_cell_length_c 9.902
_cell_angle_alpha 90.00
_cell_angle_beta 110.29
_cell_angle_gamma 90.00
_space_group_name_H-M_alt 'C 1 m 1'
_space_group_IT_number 8
_space_group_name_Hall 'C -2y'
loop_
_atom_site_label
_atom_site_type_symbol
_atom_site_fract_x
_atom_site_fract_y
_atom_site_fract_z
Na1 Na 0.000 0.000 0.000
Na2 Na 0.143 0.500 0.734
Co1 Co 0.296 0.000 0.532
Co2 Co 0.484 0.500 0.450
Ru1 Ru 0.156 0.500 0.310
Ru2 Ru 0.350 0.000 0.212



Entry 5:
# PBE-GGA Ca6W7, relaxed
# **Formation energy**: 0.674 eV/atom
data_Ca6W7
_cell_length_a 5.6022
_cell_length_b 5.6022
_cell_length_c 32.3806
_cell_angle_alpha 90.00
_cell_angle_beta 90.00
_cell_angle_gamma 120.00
_space_group_name_H-M_alt 'R -3 m'
_space_group_IT_number 166
_space_group_name_Hall '-R 3 2"'
loop_
_atom_site_label
_atom_site_type_symbol
_atom_site_fract_x
_atom_site_fract_y
_atom_site_fract_z
Ca1 Ca 0.0000 0.0000 0.0527
Ca2 Ca 0.0000 0.0000 0.1509
Ca3 Ca 0.0000 0.0000 0.3329
W1 W 0.0000 0.0000 0.5000
W2 W 0.0052 0.5026 0.0967



Entry 6:
# PBE-GGA Sr3CaHg, relaxed
# **Formation energy**: -0.100 eV/atom
data_Sr3CaHg
_cell_length_a 6.319
_cell_length_b 6.319
_cell_length_c 6.319
_cell_angle_alpha 90.00
_cell_angle_beta 90.00
_cell_angle_gamma 90.00
~~~
This page is designed for these purposes. In the section you will find free tools for word search in accordance with this criterion. Enter the letters you know in the empty boxes. Set the length of the word or leave it arbitrary. In a few seconds you will get a list of words that satisfy the search request.

# Inserted here: calculated crystals
┌──
(1)
NbV2Cr after structural relaxation, computed with PBE.

POSCAR file:
```
NbV2Cr
1.0
3.005 0.000 0.000
0.000 3.005 0.000
0.000 0.000 6.280
Nb V Cr
1 2 1
direct
0.000 0.000 0.000
0.500 0.500 0.275
0.500 0.500 0.725
0.000 0.000 0.500
```

Computed properties:
**Energy**: -9.462 eV per atom
**Formation enthalpy at 0 K**: 0.0210 eV/atom
**Relative energy among the computed polymorphs**: 0 meV per atom

(2)
Ce2Al2Zn after structural relaxation, computed with PBE.

POSCAR file:
```
Ce2Al2Zn
1.0
4.587 0.000 0.000
0.000 13.550 0.000
0.000 0.000 3.499
Ce Al Zn
4 4 2
direct
0.000 0.105 0.000
0.000 0.895 0.000
0.500 0.395 0.000
0.500 0.605 0.000
0.000 0.301 0.500
0.000 0.699 0.500
0.500 0.199 0.500
0.500 0.801 0.500
0.000 0.500 0.500
0.500 0.000 0.500
```

Computed properties:
**Energy**: -4.438 eV per atom
**Formation enthalpy at 0 K**: -0.3131 eV/atom

(3)
Pm2PrPu after structural relaxation, computed with PBE.

POSCAR file:
```
Pm2PrPu
1.0
3.588 0.000 0.000
0.000 3.588 0.000
0.000 0.000 10.289
Pm Pr Pu
2 1 1
direct
0.000 0.000 0.238
0.000 0.000 0.762
0.500 0.500 0.500
0.500 0.500 0.000
```

Computed properties:
**Energy**: -7.037 eV per atom
**Formation enthalpy at 0 K**: 0.1160 eV/atom
**Relative energy among the computed polymorphs**: 0 meV per atom

(4)
Tl2TeAu2 after structural relaxation, computed with PBE.

POSCAR file:
```
Tl2TeAu2
1.0
4.543 0.000 0.000
0.000 4.543 0.000
0.000 0.000 12.982
Tl Te Au
4 2 4
direct
0.000 0.500 0.250
0.000 0.500 0.750
0.500 0.000 0.250
0.500 0.000 0.750
0.000 0.000 0.000
0.500 0.500 0.500
0.000 0.000 0.397
0.000 0.000 0.603
0.500 0.500 0.103
0.500 0.500 0.897
```

Computed properties:
**Energy**: -2.754 eV per atom
**Formation energy from raw total energies**: 0.13 eV/atom
**Relative energy among the computed polymorphs**: 207 meV per atom

(5)
K2Cu3S3O13 after structural relaxation, computed with PBE.

POSCAR file:
```
K2Cu3S3O13
1.0
9.595 -4.864 0.000
9.595 4.864 0.000
-5.131 0.000 13.569
K Cu S O
8 12 12 52
direct
0.050 0.560 0.375
0.069 0.584 0.942
0.416 0.931 0.558
0.440 0.950 0.125
0.560 0.050 0.875
0.584 0.069 0.442
0.931 0.416 0.058
0.950 0.440 0.625
0.002 0.037 0.659
0.037 0.002 0.159
0.176 0.666 0.705
0.334 0.824 0.795
0.461 0.512 0.143
0.488 0.539 0.357
0.512 0.461 0.643
0.539 0.488 0.857
0.666 0.176 0.205
0.824 0.334 0.295
0.963 0.998 0.841
0.998 0.963 0.341
0.126 0.169 0.863
0.169 0.126 0.363
0.240 0.743 0.506
0.257 0.760 0.994
0.319 0.383 0.215
0.383 0.319 0.715
0.617 0.681 0.285
0.681 0.617 0.785
0.743 0.240 0.006
0.760 0.257 0.494
0.831 0.874 0.637
0.874 0.831 0.137
0.028 0.293 0.368
0.035 0.144 0.907
0.056 0.188 0.758
0.101 0.798 0.425
0.116 0.884 0.750
0.126 0.780 0.911
0.129 0.305 0.921
0.144 0.035 0.407
0.181 0.380 0.202
0.188 0.056 0.258
0.202 0.899 0.075
0.216 0.458 0.699
0.220 0.874 0.589
0.258 0.614 0.537
0.293 0.028 0.868
0.300 0.469 0.143
0.305 0.129 0.421
0.314 0.614 0.029
0.349 0.459 0.319
0.380 0.181 0.702
0.386 0.686 0.471
0.386 0.742 0.963
0.392 0.608 0.750
0.458 0.216 0.199
└──
# Here the article continues
8 letter words See all 8 letter words
**Attached: calculated crystals**
1 | Below is a geometry-optimized TiMo6W2 structure, with properties calculated at the PBE level.

It has space group P-31m (No. 162), with a = 7.7293 Å, b = 7.7293 Å, c = 2.7637 Å, α = 90.00°, β = 90.00° and γ = 120.00°. The distinct sites, in fractional coordinates, are Ti at (0.0000, 0.0000, 0.0000), Mo at (0.0000, 0.3337, 0.3385) and W at (0.3333, 0.6667, 0.0000).

The total magnetization comes out at 0.00 μB/cell.

***

2 | Below is a geometry-optimized TiMo6W2 structure, with properties calculated at the PBE level.

It has space group C2/m (No. 12), with a = 8.812 Å, b = 5.432 Å, c = 6.897 Å, α = 90.00°, β = 114.54° and γ = 90.00°. The distinct sites, in fractional coordinates, are Ti at (0.000, 0.000, 0.000), Mo at (0.063, 0.263, 0.709), Mo at (0.230, 0.000, 0.451) and W at (0.170, 0.500, 0.122).

The total magnetization comes out at 0.00 μB/cell.

***

1 ends up most stable, edging out the next structure by 495 meV per atom.
**So much for the calculated crystals**

arcwelds areneids argasids argulids arietids arionids armbands arminids armloads arripids arsacids artamids artuqids asaphids ascarids asellids ashwoods assloads asstards asswards astacids asteiids asterids astounds astroids athodyds atmcards atomgods audiocds aulacids aulopids aurigids autopods awwwards axeheads badlands badmoods badwords balanids bandaids barlands barmaids bartends bastards basterds bat-pads bauriids beamends beclouds bedcords bedwards beesands behrends belfonds belgards bellends belonids beloveds bembrids bernards berycids berytids bestbuds besteads bestends biantids bichords bigbands bigheads biglands bigleads billards bilsteds binloads bioloads bioroids bipedids bitheads blankcds blattids blohards bobsleds bodymods boggards boglands bogwoods bollards bombards bonebeds boobirds bookends bopyrids bosonids bowheads boxloads boxwoods boybands boyhoods brandads braulids brentids brevands brigands brocards bruchids buchiids bufonids bulanids bumbards bunheads bunkbeds burreeds burseeds busloads bustards buzzards byrrhids byturids cactoids calanids caligids camcords camelids canacids cancrids cantreds capniids caproids capulids carabids carapids cardiids carhoods carloads carotids carpoids catbirds catfoods catheads caturids ceffonds cepheids cepolids certhids cerylids cestoids chalcids chandids channids chelyids chermids chiliads chionids chocards choroids chromids chronids chytrids cicadids cichlids cidarids cimicids cinclids cissoids citykids clambeds clariids clawbeds claybeds clionids clupeids clusiids coalbeds cobitids cobrands codheads cofounds coleiids coleoids collards collauds colloids coloreds commands commends comonads concords congrids conopids contends contoids coolkids copepods coplands corixids corrands corynids costards cotlands cottoids cowbirds cowhands cowherds cowlands cowsheds crambids craniids crawdads crellids cressids cricoids crinoids crocards cryptids ctenoids cubhoods cuckolds cucujids cuculids cudweeds cuecards culicids cupedids custards cyamiids cyaneids cybaeids cycloids cynipids cystoids dabhands daesiids dagwoods dalriads daphnids dastards dasytids day-olds deadends dearbuds deblends deboards decapods decklids deepends deepreds defrauds deltoids delysids demaunds demigods deodands descends desmoids desmonds despends desponds detrends diagrids diamonds diapsids dibamids dicaeids dickwads dickwods diehards diemonds dilarids dillards dimlands dinopids diopsids dioptids diploids dipodids disbands disbends disbinds discards discinds discords dispands dispeeds dispends distends dizzards djereeds djerrids dogfoods dogheads doglands dogsleds dogwoods dokumeds donacids donlands doofoids doradids doridids dorkwads dotheads dottards drawrods dromiids dromonds drygoods dryinids drylands dullards dumbbids dunbirds dunkards dyeweeds dyewoods echinids ecnomids edestids educands eggheads elasmids electeds elodeids elysiids embraids emeralds emerauds emeroids emobands empidids empusids emubands enclouds endopods endwards energids englands enguards enrounds epacrids epeirids eretnids eryonids eryopids esguards ethmiids ethmoids eubelids eulimids eumenids eunicids euploids eurokids eurosids eusirids evaniids evenodds expounds exscinds eyewards ezzonids faciends factoids fag-ends fagtards fanniids fantards farmkids farrands fatheads fenlands fibroids figbirds figitids filberds firolids flamands flatbeds flatrods footbeds footpads foratids fordltds forfends forwards foulards fourlads fromards fuckpads fuckwads fungiids fungoids gadilids galagids galahads gamepads garlands gascards gaylords geekwads geminids geodiids geomyids gerreids giffords gigarads gimboids girlonds gizzards glaucids glenoids globards globoids glossids goaheads gobioids goddards godheads godhoods godsends godwards goelands gomphids gonatids gonopods goodeids gormands gorounds gorsedds gosherds gozzards grammids grandads grapsids gromiids gryllids guiniads guisards gumweeds gurnards gustards gwiniads gwyniads gyrinids gyrlands hadwords hadziids haggards hagseeds hahniids halberds halfgods halfords halyards hamidids hammonds haploids hasleads haswords hatbands haybirds haylands hayseeds haysheds haywards headends hedylids helicids helipads hellgods helotids hempmeds henicids hexapods heyheads hillards hintends hiptards hiv/aids hogherds hogweeds hollands holmiids holovids homarids homeoids homerids homevids hominids homolids hopbinds hopheads hopyards hotheads hotleads hoverads humbirds hundreds husbands hussards hyaenids hybotids hydriads hydroids iapygids ibaliids icebirds icterids icyroads idiopids idoteids iguanids ilariids illdeeds illwinds ilysiids imbounds imbraids immoulds impleads impounds inachids inboards inbounds inbreeds inclouds indriids infields infounds ink-pads innyards inshards inshreds insureds invalids ipnopids irelands iridoids ironkids isoacids isoetids isograds ithonids itzwords ixionids jacanids jakobids jambands janolids japygids jarheads jaybirds jeffords jeopards jerkwads jerreeds jetloads jigheads joewoods jugbands jugheads jumbocds juulpods jvsquads kakuyids karasids karelids katydids kenkiids kennards kerriids keycards keywords kidhoods kindreds kneepads kneriids koiponds kuhliids laggards laidodds lakebeds lakhmids lamprids laniards lanyards lauriids lavabeds lawlords leafbuds leewards leffonds leftards leiodids lemurids leonards leopards leopolds leotards lepadids lepetids leporids lestards libbards libtards lieabeds lilioids lilypads limacids limiteds limulids linseeds liotiids liparids lipotids lipreads llamoids lobopods lobotids lockrods logwoods lollards lombards longodds lophiids lopseeds lorisids lottiids lowlands lucanids lucinids luidiids lumileds lunapads luvarids lycopods lycosids lygaeids lypusids macarids mactrids magilids magonids maitreds makapads makeends mallards malleids malurids mangolds manhoods manipeds mansards marrieds masarids mastoids matroids mattoids matutids matweeds mawseeds maybirds maylands maynards mayweeds mazzards me-wards med-peds megabids megarads melitids melyrids memopads menthids menurids mermaids meropids merulids mickeyds midlands mikalids milacids milkduds milkdvds mimetids minuends misbinds misdeeds misfeeds misfolds misleads misreads miswords mobulids modulids momotids momphids monopods moongods moorends mopheads morlands moronids moschids mudsleds mugilids munidids muricids murshids muscoids mustards mutelids mutilids mycalids mymarids myopsids mytilids myxinids myxopods nailbeds nakonids nanobuds nanorods nasheeds natalids naticids naywords negroids neotards neritids netheads netloads newlands newmolds newroads newzoids niggards noctuids noetiids nonacids nonbirds nonfoods nongoods nonskeds nonwords nosepads notepads noterids nuculids numidids nutzoids nymphids oaklands oakwoods oarweeds oatlands obrounds ocsealds octopods odiniids odzounds oersteds oestrids offloads offwards oilbirds oilsands oilseeds oldhands oldmaids ommatids omomyids oncaeids oneseeds oniscids onuphids oonopids operands oplurids orchards orculids oreweeds orewoods oriolids orionids ormyrids orussids osmerids osmylids osteoids ostreids otariids otoitids outfinds outholds outlands outleads outroads outwards outwinds outwoods outwords overbids oweniids oxoacids oxyacids oxynoids oxyopids oxyurids pagurids painmeds palicids pandeids panheads panurids panyards parotids parulids paussids payloads peascods pedetids pedilids pedinids pegasids pegheads penaeids penfolds penponds pepbands peptoids peracids perbends percoids perpends perseids petfoods phasmids philaids pholcids phugoids phyllids piebalds piecards piffonds pigweeds pinfolds pinheads pinholds pinopods pinweeds pitheads placards placoids plasmids plastids pleopods ploceids plutoids plywoods pochards podheads podurids pollards polypods polyrods poniards pooheads popbands popupads poritids portends potamids potheads potorids pre-aids prebends prehends prelleds preloads prepends prereads preseeds pretends printads pristids pro-keds probands proceeds proetids propends proplyds proteids protends provends psychids psyllids pteriids ptiliids publands pubwards